The Chat
Crystal structures from another source follow =
-- begin --
## a
{
  "formula": "CaZrCl2",
  "functional": "PBE",
  "state": "optimized geometry",
  "lattice": [[-0.349, 3.869, -3.603], [-2.480, -0.879, -4.599], [-4.672, 2.301, -0.972]],
  "species": ["Ca", "Zr", "Cl", "Cl"],
  "frac_coords": [[0.500, 0.500, 0.500], [0.750, 0.750, 0.750], [0.000, 0.000, 0.000], [0.250, 0.250, 0.250]],
  "dos_at_fermi_per_ev_atom": 0.88,
  "crystal_system": "cubic"
}

=====

## b
{
  "formula": "CaZrCl2",
  "functional": "PBE",
  "state": "optimized geometry",
  "lattice": [[4.650, -0.003, 0.009], [3.417, 3.153, 0.009], [1.223, 0.478, 5.888]],
  "species": ["Ca", "Zr", "Cl", "Cl"],
  "frac_coords": [[0.250, 0.250, 0.250], [0.750, 0.750, 0.750], [0.011, 0.011, 0.968], [0.489, 0.489, 0.532]],
  "dos_at_fermi_per_ev_atom": 0.55,
  "crystal_system": "monoclinic"
}

=====

Q: Which of them is the most stable? A: b.

~~~~~

# 1
A plane-wave DFT calculation with PBE-GGA was carried out for crystalline InGeP3 at its relaxed geometry.

a = 4.7704 Å, b = 4.7704 Å, c = 4.7704 Å
α = 90.00°, β = 90.00°, γ = 90.00°
Atoms (fractional coordinates):
In 0.0000 0.0000 0.0000
Ge 0.5000 0.5000 0.5000
P 0.0000 0.5000 0.5000
P 0.5000 0.0000 0.5000
P 0.5000 0.5000 0.0000

Output
ΔE_f = 797 meV/atom
Excess energy over the best structure of this formula in the dataset = 0 meV per atom



# 2
A plane-wave DFT calculation with PBE-GGA was carried out for crystalline MgZn2Cd8 at its relaxed geometry.

a = 7.2933 Å, b = 7.2933 Å, c = 4.7211 Å
α = 95.03°, β = 95.03°, γ = 104.59°
Atoms (fractional coordinates):
Mg 0.0000 0.0000 0.0000
Zn 0.3814 0.6186 0.5000
Zn 0.6186 0.3814 0.5000
Cd 0.0377 0.3103 0.5347
Cd 0.2579 0.7421 0.0000
Cd 0.3103 0.0377 0.5347
Cd 0.3312 0.3312 0.0397
Cd 0.6688 0.6688 0.9603
Cd 0.6897 0.9623 0.4653
Cd 0.7421 0.2579 0.0000
Cd 0.9623 0.6897 0.4653

Output
ΔE_f = 37 meV/atom
-- stop --
THE CHAT, is a very interesting work.
JR Brennan has worked as a parole officer in Sydney’s Long Bay Correctional Centre, and as an artist, created a series of performance workshops with Performance maker and choreographer Ashley Dyers for ex-offenders in the Melbourne area. THE CHAT we are informed in the program note, has been “created in collaboration with participants from these workshops and leading criminologists, is a work that fundamentally challenges our notions of criminal identity and asks the audience to play judge.”
This work has been in an evolving process since 2014 and has been performed in Melbourne and Brisbane, with David Woods (Co-Artistic Director of Ridiculusmus) as the principal performer. The other performers are Arthur Bolkas, Shane Brennan, Nicholas Maltzahn, Ray Morgan, John Tjepkema, Simon Warner and Les Wiggins. Four of these performers are actual ex-offenders and parolees.
The work is performed on a long purple carpeted traverse stage, with audience seated either side. At one end is a screened space that has an office referral desk and a heightened lounging chair. At the other end is a cubed metal space with desk and two chairs in front of a screen on which live footage is thrown during THE CHAT.
We are greeted by the company and guided to seats and engaged, some of us, in conversation. The performance begins, and after introductions to the company and their roles in the performance to come, a series of workshop exercises are shown – trust games etc – then one of the ex-offenders is selected and begins a participatory interview. And, it becomes a role-play routine where, actor David Woods assumes the identity of the ex-offender and the ex-offender assumes the identity of the parole officer.
Essentially it is an extended improvised process between the two men where the audience become privileged with the background and circumstances of the ‘criminal identity’ of the offender – on my night, we met in detail, Les Wiggins. Each night, during this season, a different ‘identity’ is the subject of the core revelation. At the conclusion of this intriguing process two or three members of the audience are invited to participate in the discussion of the ‘mock’ Parole Board, whilst the rest us are encouraged to discuss what we have witnessed. The audience are invited to ask Les any question for further information. In due course the audience are invited to decide on whether the parolee ought to be given another opportunity or re-imprisoned. We do. Then the “Parole Board” delivers its verdict.
The performance is designed to bring a community visibility to the difficulties of the parolee in his social re-engagement with the real world and the intricate balance the responsible Parole Board has in its delivery of decision, especially to those who have broken conditions of their original parole in seeking a re-trusting.
********
A plane-wave DFT calculation with GGA-PBE was carried out for crystalline Na2BeCu3Ge4 at its relaxed geometry.

It has space group P-4m2 (No. 115), with a = 4.067 Å, b = 4.067 Å, c = 10.465 Å, α = 90.00°, β = 90.00° and γ = 90.00°. The inequivalent atoms are Na at (0.000, 0.500, 0.240), Be at (0.500, 0.500, 0.000), Cu at (0.000, 0.000, 0.000), Cu at (0.000, 0.500, 0.642), Ge at (0.000, 0.000, 0.500), Ge at (0.000, 0.500, 0.874) and Ge at (0.500, 0.500, 0.500).

The calculation puts the formation enthalpy at 0 K at 0.021 eV per atom. For the theoretical density, the calculation gives 5.14 g/cm3. For the total magnetic moment, the calculation gives 0.0 μB/cell. The value obtained for the calculated volume is 17.31 Å³ per atom.

A plane-wave DFT calculation with GGA-PBE was carried out for crystalline NdBeCuGe2 at its relaxed geometry.

It has space group I-4m2 (No. 119), with a = 4.098 Å, b = 4.098 Å, c = 10.248 Å, α = 90.00°, β = 90.00° and γ = 90.00°. The inequivalent atoms are Nd at (0.000, 0.000, 0.000), Be at (0.000, 0.500, 0.250), Cu at (0.000, 0.500, 0.750) and Ge at (0.000, 0.000, 0.375).

The calculation puts the formation enthalpy at 0 K at -0.431 eV per atom. For the theoretical density, the calculation gives 6.99 g/cm3. For the total magnetic moment, the calculation gives 0.0 μB/cell. The value obtained for the calculated volume is 17.21 Å³ per atom.

A plane-wave DFT calculation with GGA-PBE was carried out for crystalline Nd2BeCu3Ge4 at its relaxed geometry.

It has space group P-4m2 (No. 115), with a = 4.155 Å, b = 4.155 Å, c = 10.150 Å, α = 90.00°, β = 90.00° and γ = 90.00°. The inequivalent atoms are Nd at (0.000, 0.500, 0.243), Be at (0.500, 0.500, 0.000), Cu at (0.000, 0.000, 0.000), Cu at (0.000, 0.500, 0.635), Ge at (0.000, 0.000, 0.500), Ge at (0.000, 0.500, 0.872) and Ge at (0.500, 0.500, 0.500).

The calculation puts the formation enthalpy at 0 K at -0.480 eV per atom. For the theoretical density, the calculation gives 7.38 g/cm3. For the total magnetic moment, the calculation gives 0.0 μB/cell. The value obtained for the calculated volume is 17.53 Å³ per atom.

A plane-wave DFT calculation with GGA-PBE was carried out for crystalline Nd2Be3CuGe4 at its relaxed geometry.

It has space group P-4m2 (No. 115), with a = 4.144 Å, b = 4.144 Å, c = 9.771 Å, α = 90.00°, β = 90.00° and γ = 90.00°. The inequivalent atoms are Nd at (0.000, 0.500, 0.249), Be at (0.000, 0.500, 0.873), Be at (0.500, 0.500, 0.500), Cu at (0.000, 0.000, 0.500), Ge at (0.000, 0.000, 0.000), Ge at (0.000, 0.500, 0.636) and Ge at (0.500, 0.500, 0.000).

The calculation puts the formation enthalpy at 0 K at -0.405 eV per atom. For the theoretical density, the calculation gives 6.63 g/cm3. For the total magnetic moment, the calculation gives 0.0 μB/cell. The value obtained for the calculated volume is 16.78 Å³ per atom.

A plane-wave DFT calculation with GGA-PBE was carried out for crystalline BeCuGePb2 at its relaxed geometry.
********
Here the piece continues.
It is a totally engaging experience and one that has the strangely conflicted emotional wants of an audience introduced into the complex history of an individual who we know has been declared a ‘criminal’ and who is at our ‘mercy’ as to the hopefulness of his future, having failed already once the Justice System’s trust. The performance is non-dramatic, it has a feeling of actuality without any gratuitous feel of intruding or peep-show indulgence. Certainly, one is left with much to discuss and ponder after the performance has finished. It is immaculately organised and has the tentative feel of real-life vulnerability and the possibility of crashing into failure – it puts the audience into a defensive state of anxiety mixed with good will.
THE CHAT is an experience of some real worth.
David Williamson’s JACK MANNING TRILOGY (FACE TO FACE – 2000; CONVERSATION – 2001; CHARITABLE INTENT – 2001), are a series of plays about community conferencing where the extended families – the ‘victims’ – meet the offender in a an attempt of reconciliation, and they gave (give) insight into the complexities involved with human yearnings and the rigidity of the Law, and they are entirely absorbing (one better than the others, particularly), but are conventionally bound by the structure of the ‘well made play’ into some decided bourgeois order with not much visceral risk.
Similarly, but in content of a different kind, the the plays of prisoner Jim McNeil: THE CHOCOLATE FROG – 1970; and HOW DOES YOUR GARDEN GROW – 1974, gives privy into the complicated humanity of the prisoner and it resonated within its rougher but well made play boundaries.
THE CHAT is of an entirely different kind of experience. Not quite the experience of an audience watching, at invitation, the enactment of a play performed by asylum internees concerning a murder as in Peter Weiss’ , 1963 play: THE PERSECUTION AND ASSASSINATION OF JEAN-PAUL MARAT AS PERFORMED BY THE INMATES OF THE ASYLUM OF CHARENTON UNDER THE DIRECTION OF MARQUIS DE SADE (MARAT/SADE, for short), that turns into an actual witnessed murder, THE CHAT, has some of that play’s anticipatory subliminal human fascination that keeps one, gently, but expectantly on edge, and prepared for shock.
This play has won many awards and this production is a fascinating learning experience. A real Festival event.